Activity:
Echo only the lines below with the word "No" in them.

Material:
No. 1
The following is a PBE calculation of a relaxed structure of S, from the Materials Project.

DFT formation energy	0.019	eV/atom
SG	P-1
DFT total energy	-4.118	eV/atom

Cell: 6.0594 10.3438 15.5444 Å, 95.14 97.95 100.78°
Closest atoms and distances in Å follow each position.
Fractional coordinates of all 28 atoms:
S 0.0024 0.3866 0.3729  2 S 2.07
S 0.0229 0.1640 0.7819  2 S 2.06
S 0.0365 0.9473 0.1169  2 S 2.06-2.07
S 0.0830 0.0495 0.6754  2 S 2.06-2.07
S 0.1594 0.5738 0.3520  2 S 2.07
S 0.1944 0.3727 0.0831  2 S 2.07
S 0.2103 0.0044 0.4163  2 S 2.06-2.07
S 0.2149 0.3232 0.4688  2 S 2.07
S 0.2976 0.5640 0.1451  2 S 2.06-2.07
S 0.3759 0.1932 0.4043  2 S 2.06-2.07
S 0.3823 0.9880 0.1120  2 S 2.06-2.07
S 0.4120 0.5636 0.2765  2 S 2.06-2.07
S 0.4745 0.8207 0.8332  2 S 2.06-2.07
S 0.4836 0.2993 0.0688  2 S 2.07
S 0.5164 0.7007 0.9312  2 S 2.07
S 0.5255 0.1793 0.1668  2 S 2.06-2.07
S 0.5880 0.4364 0.7235  2 S 2.06-2.07
S 0.6177 0.0120 0.8880  2 S 2.06-2.07
S 0.6241 0.8068 0.5957  2 S 2.06-2.07
S 0.7024 0.4360 0.8549  2 S 2.06-2.07
S 0.7851 0.6768 0.5312  2 S 2.07
S 0.7897 0.9956 0.5837  2 S 2.06-2.07
S 0.8056 0.6273 0.9169  2 S 2.07
S 0.8406 0.4262 0.6480  2 S 2.07
S 0.9170 0.9505 0.3246  2 S 2.06-2.07
S 0.9635 0.0527 0.8831  2 S 2.06-2.07
S 0.9771 0.8360 0.2181  2 S 2.06
S 0.9976 0.6134 0.6271  2 S 2.07

No. 2
The following is a PBE calculation of a relaxed structure of S, from the Materials Project.

DFT formation energy	0.001	eV/atom
SG	P2_1
DFT total energy	-4.136	eV/atom

Cell: 11.8583 11.5991 11.8614 Å, 90.00 98.36 90.00°
Closest atoms and distances in Å follow each position.
Fractional coordinates of all 48 atoms:
S 0.0467 0.0615 0.4510  2 S 2.06-2.07
S 0.0585 0.7276 0.8862  2 S 2.06
S 0.0625 0.2601 0.6598  2 S 2.06-2.07
S 0.0623 0.7884 0.0502  2 S 2.06
S 0.0759 0.2331 0.4903  2 S 2.06
S 0.1572 0.5808 0.8892  2 S 2.06
S 0.1597 0.4831 0.2543  2 S 2.06
S 0.1828 0.9170 0.0813  2 S 2.06
S 0.2004 0.9755 0.4609  2 S 2.06-2.07
S 0.2233 0.2580 0.7540  2 S 2.06-2.07
S 0.2366 0.8969 0.6180  2 S 2.06
S 0.2535 0.0966 0.8249  2 S 2.06
S 0.2579 0.3877 0.1584  2 S 2.06
S 0.2645 0.5871 0.3651  2 S 2.06
S 0.2875 0.2266 0.2304  2 S 2.06-2.07
S 0.2951 0.5084 0.5225  2 S 2.06-2.07
S 0.3163 0.6244 0.8516  2 S 2.06
S 0.3332 0.8485 0.1638  2 S 2.06
S 0.3464 0.0000 0.7249  2 S 2.06
S 0.4247 0.2528 0.4981  2 S 2.06
S 0.4284 0.6426 0.0009  2 S 2.06
S 0.4408 0.8144 0.0461  2 S 2.06
S 0.4453 0.2262 0.3304  2 S 2.06-2.07
S 0.4503 0.4245 0.5385  2 S 2.06-2.07
S 0.5497 0.9245 0.4615  2 S 2.06-2.07
S 0.5547 0.7262 0.6696  2 S 2.06-2.07
S 0.5592 0.3144 0.9539  2 S 2.06
S 0.5716 0.1426 0.9991  2 S 2.06
S 0.5753 0.7528 0.5019  2 S 2.06
S 0.6536 0.5000 0.2751  2 S 2.06
S 0.6668 0.3485 0.8362  2 S 2.06
S 0.6837 0.1244 0.1484  2 S 2.06
S 0.7049 0.0084 0.4775  2 S 2.06-2.07
S 0.7125 0.7266 0.7696  2 S 2.06-2.07
S 0.7355 0.0871 0.6349  2 S 2.06
S 0.7421 0.8877 0.8416  2 S 2.06
S 0.7465 0.5966 0.1751  2 S 2.06
S 0.7634 0.3969 0.3820  2 S 2.06
S 0.7767 0.7580 0.2460  2 S 2.06-2.07
S 0.7996 0.4755 0.5391  2 S 2.06-2.07
S 0.8172 0.4170 0.9187  2 S 2.06
S 0.8403 0.9831 0.7457  2 S 2.06
S 0.8428 0.0808 0.1108  2 S 2.06
S 0.9241 0.7331 0.5097  2 S 2.06
S 0.9377 0.2884 0.9498  2 S 2.06
S 0.9375 0.7601 0.3402  2 S 2.06-2.07
S 0.9415 0.2276 0.1138  2 S 2.06
S 0.9533 0.5615 0.5490  2 S 2.06-2.07

No. 3
The following is a PBE calculation of a relaxed structure of S, from the Materials Project.

DFT formation energy	0.000	eV/atom
SG	P2/c
DFT total energy	-4.136	eV/atom

Cell: 9.2481 13.6421 10.8968 Å, 90.00 123.00 90.00°
Closest atoms and distances in Å follow each position.
Fractional coordinates of all 32 atoms:
S 0.0824 0.1723 0.2139  2 S 2.06
S 0.0824 0.8277 0.7139  2 S 2.06
S 0.1328 0.1504 0.8178  2 S 2.06
S 0.1328 0.8496 0.3178  2 S 2.06
S 0.2156 0.3927 0.5786  2 S 2.06
S 0.2156 0.6073 0.0786  2 S 2.06
S 0.2331 0.0558 0.7349  2 S 2.06
S 0.2331 0.9442 0.2349  2 S 2.06
S 0.2659 0.4741 0.0197  2 S 2.06
S 0.2659 0.5259 0.5197  2 S 2.06
S 0.2842 0.0773 0.3405  2 S 2.06

Here it is:
No. 1
No. 2
No. 3